(Contents)
'''
(1)
For PrSi4Pt3, the PBE geometry in OQMD gives the theoretical powder diffractogram in this record (a wavelength of 1.5418 Å).
No peak broadening, texture or thermal motion is included.

Most intense lines, 5 to 70 degrees two-theta, sorted by position:
two_theta  d (Å)  intensity
22.13  4.017  33
26.52  3.361  57
28.34  3.149  100
30.60  2.922  40
32.11  2.788  48
34.39  2.608  47
37.08  2.425  29
37.92  2.373  72
40.41  2.232  28
46.93  1.936  36
56.62  1.626  31
59.45  1.555  26

Structural model:
Cell: 5.444 3.872 6.766 Å, 90.00 96.03 90.00°
Fractional coordinates of all 8 atoms:
Pr 0.000 0.000 0.000
Si 0.174 0.500 0.694
Si 0.488 0.000 0.272
Si 0.513 0.000 0.754
Si 0.804 0.500 0.309
Pt 0.250 0.500 0.354
Pt 0.510 0.500 0.999
Pt 0.848 0.000 0.530

***

(2)
For PrSiSnPt2, the PBE geometry in OQMD gives the theoretical powder diffractogram in this record (a wavelength of 1.5418 Å).
No peak broadening, texture or thermal motion is included.

Most intense lines, 5 to 70 degrees two-theta, sorted by position:
two_theta  d (Å)  intensity
26.37  3.379  18
30.16  2.963  7
32.44  2.760  11
33.55  2.671  100
39.54  2.279  10
41.41  2.180  42
44.87  2.020  17
47.34  1.920  12
49.77  1.832  7
54.29  1.690  8
59.99  1.542  18
64.68  1.441  12

Structural model:
Cell: 4.361 4.361 10.694 Å, 90.00 90.00 90.00°
Fractional coordinates of all 10 atoms:
Pr 0.250 0.250 0.232
Pr 0.750 0.750 0.768
Si 0.250 0.250 0.884
Si 0.750 0.750 0.116
Sn 0.250 0.750 0.500
Sn 0.750 0.250 0.500
Pt 0.250 0.250 0.662
Pt 0.250 0.750 0.000
Pt 0.750 0.250 0.000
Pt 0.750 0.750 0.338

***

(3)
For TbPrPt4, the PBE geometry in OQMD gives the theoretical powder diffractogram in this record (a wavelength of 1.5418 Å).
No peak broadening, texture or thermal motion is included.

Most intense lines, 5 to 70 degrees two-theta, sorted by position:
two_theta  d (Å)  intensity
19.84  4.475  14
32.68  2.740  20
38.52  2.337  100
40.31  2.237  49
46.89  1.938  9
51.39  1.778  4
58.32  1.582  8
62.24  1.492  33
68.48  1.370  30

Structural model:
Cell: 5.480 5.480 5.480 Å, 60.00 60.00 60.00°
Fractional coordinates of all 6 atoms:
Tb 0.000 0.000 0.000
Pr 0.250 0.250 0.250
Pt 0.124 0.625 0.625
Pt 0.625 0.124 0.625
Pt 0.625 0.625 0.124
Pt 0.625 0.625 0.625

***

(4)
For PrYPt2, the PBE geometry in OQMD gives the theoretical powder diffractogram in this record (a wavelength of 1.5418 Å).
No peak broadening, texture or thermal motion is included.

Most intense lines, 5 to 70 degrees two-theta, sorted by position:
two_theta  d (Å)  intensity
19.90  4.461  30
31.44  2.845  64
34.03  2.634  35
35.31  2.542  100
39.33  2.291  48
39.46  2.284  97
40.55  2.225  21
45.29  2.002  17
52.98  1.728  41
57.76  1.596  16
66.08  1.414  18
67.94  1.380  20

Structural model:
Cell: 4.582 7.260 5.654 Å, 90.00 90.00 90.00°
Fractional coordinates of all 8 atoms:
Pr 0.000 0.070 0.000
Pr 0.500 0.930 0.500
Y 0.000 0.566 0.220
Y 0.500 0.434 0.720
Pt 0.000 0.220 0.514
Pt 0.000 0.693 0.707
Pt 0.500 0.307 0.207
Pt 0.500 0.780 0.014

***

(5)
For PrPu3Se4, the PBE geometry in OQMD gives the theoretical powder diffractogram in this record (a wavelength of 1.5418 Å).
No peak broadening, texture or thermal motion is included.

Most intense lines, 5 to 70 degrees two-theta, sorted by position:
two_theta  d (Å)  intensity
12.96  6.832  3
24.98  3.565  2
26.10  3.414  38
30.23  2.957  100
39.59  2.277  1
43.28  2.091  76
45.38  1.999  1
51.24  1.783  20
53.70  1.707  27
62.87  1.478  13
69.25  1.357  7
69.33  1.355  1

Structural model:
Cell: 8.370 11.825 4.178 Å, 90.00 90.00 90.00°
Fractional coordinates of all 16 atoms:
Pr 0.000 0.000 0.000
Pr 0.500 0.500 0.000
Pu 0.000 0.500 0.000
Pu 0.250 0.250 0.500
Pu 0.250 0.750 0.500
Pu 0.500 0.000 0.000
Pu 0.750 0.250 0.500
Pu 0.750 0.750 0.500
Se 0.000 0.254 0.000
Se 0.000 0.746 0.000
Se 0.242 0.500 0.500
Se 0.258 0.000 0.500
Se 0.500 0.246 0.000
Se 0.500 0.754 0.000
Se 0.742 0.000 0.500
Se 0.758 0.500 0.500

***

(6)
'''

(Work order)
Filter the lines earlier on: keep the lines with the word "PrPu3Se4", please.

(Response)
For PrPu3Se4, the PBE geometry in OQMD gives the theoretical powder diffractogram in this record (a wavelength of 1.5418 Å).